Not-Exactly "Bead" Table Wednesday

What WAS on my desk this morning were my completed Bead Soup pieces. . .but I can't show you those YET!!
So, I cleaned off the ole craft desk and set out a  new task.
After the kind words and encouragement from may of you last week about my text donuts, I decided to get to work on them today.

I even decided to try some maps too.

Again, I'm really enjoying the process
So that's what's on my Bead Table This Wednesday.
Check out the Bead Table Wednesday Flickr Group for more!
Bead Table Wednesday

☼☼ As far as the 'Chopped' Mystery Basket (Jewelry Edition) I do think I will attempt it. First, I have to get my thoughts straight about it (how I choose who gets to participate, how many get to play, what I'll call it, time limits, rules, etc.) THEN, I'll be giving y'all a chance to participate. OH. . .and THANKS for the feedback on that idea as well! It was much appreciated!

☼☼ GIVEAWAY---- Laurel Moon Jewelry is giving away this fabulous stash of Earthenwood beads and components.

☼☼ Etsy Shop
Bumble Queen Earrings

On Sale
Sweet Simplicity Earrings

Now to get back to those donuts. . .then maybe even break out the BEADS!!

Pantry Organization and My Menu

I'm just popping in here at the end of the day to share my menu for the week and show off what I did in my pantry.

Using these ordinary jars (from pickles, mayo, and LOTS of pasta sauce)

I made this section of my disaster of a pantry (don't judge!)

Look like this

All I used was some spray paint for the lids and some chalkboard paint.
I'm so excited about the transformation.
Now if I can just make the rest of the pantry look as pretty.
That's a challenge for another day!

Let's get to the menu before Meal Plan Monday runs out on me!!

Breakfasts: Cereal/grits, muffins, cinnamon sugar croissants, waffles, eggs w/bacon & toast, nutella turnovers

Lunches: Leftovers, bean burritos, pb&j, tuna noodles, quesidillas, turkey sandwiches, soup w/grilled cheese

Rotisserie chicken w/corn & mac-n-cheese
Chicken marsala casserole w/pasta & broccoli
Grilled steaks w/sweet potatoes & veggies (not sure yet)
Check out I'm an Organizing Junkie for more fantastic Meal Plan Monday ideas.

I'm off to think about organizing other areas of the house!
Later y'all!

I Heart Macro: Muffins

I had so much interest in the Strawberry filled coconut oatmeal muffins on my meal plan this past Monday that I thought I'd make them the subject for today's I Heart Macro.
Raspberry preserves used to fill the muffins
Muffin batter
A peek inside the muffin
Just a bite or two left
By the way. . .They were delicious. Not too sweet, but definitely delectable.

On last snippet before I get back to my Sunday. My owl necklace was included in this beautiful treasury!

Here's hoping everyone that is/was in Irene's path is staying safe!

Just Throwing it Out There

I'm not feeling well today, but I've got all kinds of things swirling around in my head that I want to get out before the weekend. So here goes nothing. I pray it all makes sense.

The first two subjects I DESPERATELY want your opinion on.

First, I finished making the above bracelet this morning. As I was making the little text donuts I found myself REALLY enjoying the process. I posted that picture on facebook earlier today and had a comment or two about them. As such, I'm considering possibly making more to sell in the shop. What do you think? I should probably do some research first to see what the market for these currently is. But, I'd love to hear your opinion. 

Secondly. . .Pat and I have been watching a lot of Food Network lately. He's more of a Good Eats fan while I enjoy Chopped more. Anyway, as I was watching a Chopped marathon the other week, I was struck with an idea. Now, I don't know if you are familiar with the show or not. . . but basically chefs are given a mystery basket of ingredients that they MUST include in a dish. It starts with four chefs and one is cut each round. There's an appetizer, entree, and dessert rounds and three very picky judges. But, that's not important. What interests me in this context is the MYSTERY BASKET. I was thinking how fun it would be to send out a few mystery baskets of my own design and see what the jewelry chefs out there can create. Now, if you've seen the show you know that the items in the mystery baskets are not your run-of-the-mill ingredients. Often they include something(s) the chefs have never heard of or have no idea how to even cook/use. I'm not interested in the judging or 'chopping' portion of the show, just the mystery basket and creation portions. This probably has a lot to do with the anticipation that's going on right now with all the Bead Soup. In any case, would anyone at all be interested in joining up for this? As you can probably tell, I haven't thought this through completely. I just figured I'd through it out there and see what kind of response I get before I do anything else. Let me know!

There's quite a few giveaways flying around this week that I need to go ahead and let  you know about.

Finally, there are yet another couple of items that have been added to the SALE section of the shop.
Fading Light Necklace
Copper Disc Earrings

Now that I've gotten all that out of my system I'm feeling a bit better. Here's to a fantastic weekend ahead!
Please, please, please let me know how you feel about the text donuts and the jewelry-maker's version of chopped. Please!

Everyone Else is Heading Back to Class. . .

# The page is interrupted by calculated crystals
- - -
This entry pairs a crystal structure of ErAs with its theoretical powder diffraction line list. Radiation: Cu Kα (λ = 1.5418 Å). Structure: DFT lattice parameters and positions (PBE).
Kinematic intensities with the Lorentz-polarization factor, no thermal factor.

Structure:
abc: 3.5474 3.5474 3.5474
angles: 90.00 90.00 90.00
Positions (direct):
Er 0.0000 0.0000 0.0000
As 0.5000 0.5000 0.5000

The 6 most intense peaks (10 to 80 degrees two-theta), in order of rising 2θ:
- 2θ 25.10, d = 3.547 Å, I 16
- 2θ 35.80, d = 2.508 Å, I 100
- 2θ 51.52, d = 1.774 Å, I 18
- 2θ 58.15, d = 1.586 Å, I 7
- 2θ 64.32, d = 1.448 Å, I 36
- 2θ 75.86, d = 1.254 Å, I 11

* * * * *

Entry 1:
Starting from DFT lattice parameters and positions (GGA-PBE), the powder XRD pattern of NaLiMg6O7 was computed for CuKα.
Kinematic intensities with the Lorentz-polarization factor, no thermal factor.

Top 10 peaks for 15 to 90 degrees two-theta, in order of rising 2θ:
hkl  2theta  d [Å]  I/Imax
1 0 0  20.63  4.306  11
1 0 1  23.07  3.855  9
1 1 1  31.14  2.872  13
1 1 2  36.07  2.490  17
0 0 4  41.75  2.163  41
2 0 0  41.96  2.153  100
2 0 4  60.69  1.526  46
2 2 0  60.85  1.522  28
1 1 5  61.64  1.505  10
2 2 4  76.52  1.245  21

Cell and atoms:
```
data_NaLiMg6O7
_chemical_formula_sum 'Na1 Li1 Mg6 O7'
_space_group_name_H-M_alt 'P 4 m m'
_space_group_IT_number 99
_cell_length_a 4.3059
_cell_length_b 4.3059
_cell_length_c 8.6537
_cell_angle_alpha 90.00
_cell_angle_beta 90.00
_cell_angle_gamma 90.00
loop_
_space_group_symop_operation_xyz
'x,y,z'
'-y,x,z'
'-x,-y,z'
'y,-x,z'
'-x,y,z'
'y,x,z'
'x,-y,z'
'-y,-x,z'
loop_
_atom_site_label
_atom_site_fract_x
_atom_site_fract_y
_atom_site_fract_z
Na1 0.0000 0.0000 0.0000
Li1 0.5000 0.5000 0.9806
Mg1 0.0000 0.0000 0.4955
Mg2 0.0000 0.5000 0.2340
Mg3 0.0000 0.5000 0.7762
Mg4 0.5000 0.5000 0.5215
O1 0.0000 0.0000 0.2603
O2 0.0000 0.0000 0.7311
O3 0.0000 0.5000 0.0115
O4 0.0000 0.5000 0.4739
O5 0.5000 0.5000 0.7484
```

---

Entry 2:
Starting from DFT lattice parameters and positions (GGA-PBE), the powder XRD pattern of NaLiMg6O7 was computed for CuKα.
Kinematic intensities with the Lorentz-polarization factor, no thermal factor.

Top 10 peaks for 15 to 90 degrees two-theta, in order of rising 2θ:
hkl  2theta  d [Å]  I/Imax
1 0 1  23.20  3.834  10
1 0 2  29.35  3.044  9
1 1 1  31.34  2.854  7
1 1 2  36.23  2.479  17
0 0 4  41.68  2.167  48
2 0 0  42.28  2.138  100
2 0 4  60.87  1.522  53
2 2 0  61.33  1.511  28
3 1 2  73.36  1.291  7
2 2 4  76.90  1.240  23

Cell and atoms:
```
data_NaLiMg6O7
_chemical_formula_sum 'Na1 Li1 Mg6 O7'
_space_group_name_H-M_alt 'P 4 m m'
_space_group_IT_number 99
_cell_length_a 4.2751
_cell_length_b 4.2751
_cell_length_c 8.6681
_cell_angle_alpha 90.00
_cell_angle_beta 90.00
_cell_angle_gamma 90.00
loop_
_space_group_symop_operation_xyz
'x,y,z'
'-y,x,z'
'-x,-y,z'
'y,-x,z'
'-x,y,z'
'y,x,z'
'x,-y,z'
'-y,-x,z'
loop_
_atom_site_label
_atom_site_fract_x
_atom_site_fract_y
_atom_site_fract_z
Na1 0.0000 0.0000 0.0000
- - -

I got to do something today that I haven't done in a VERY long time.
I took a class at my local bead store.
Blue Girl Beading Co. is located in Gulf Shores, AL at 2220 East 2nd Street, Suite F

Inside the store is wall-to-wall goodies.
And that's only a peek!

They've got at least four of these old printer's cabinets (that I think are as cool as all get-out) that are used for storing the bulk of their beads and findings. But of course the walls are also covered in sparklies as well!

Now, about my class.
I decided to take the "Texture, Patina, and Polish" class to get more comfortable working with heavy tools and metal. 

I ended up being the only one enrolled. As such, I got plenty of one-on-one attention from Tara, the shop's owner. (Tara is a DELIGHT as is her husband, Jack, who is also often in the shop.) The goal of the class today was to make a pair of earrings. Tara had me draw out my design, cut out the metal shapes, file the metal, texture it, patina it, and punch holes. 

She even showed me how to make my own ear wires from which to hang the earrings. It was a BLAST.
I know these are not 'perfect', but heck it was my first try and I'm quite happy with them!

There's a calendar on their website with plenty of different classes. As well, Tara often takes classes herself in order to share her skills in the shop. As well, she makes some of the coolest jewelry pieces that she sells there in the shop and at various shows.
If you are ever in the Gulf Shores, Orange Beach, Fairhope. . .or just basically in South Alabama/Northwest Florida, you should totally head over to Blue Girl Beading!!
If you can't make it, please check out the Blue Girl Beading Co. Website as well as their Facebook Page. It's a real treat.

A Quick Bead Table Wednesday

I just had a great lunch date that spent catching up with an old friend who just moved back to the area. Don't you just love when that happens?

Now I'm short on time before I have to run out again for an evening with the nieces. 
So, let me just get to the goodies.

It's Bead Table Wednesday once again. I awoke this morning with another design idea, so this is what's on my craft desk currently.
Glass and Jasper beads and waxed linen cord
Washers and paper and Mod Podge
Join in the fun at the Bead Table Wednesday Flickr Group.
Bead Table Wednesday

As well, several of you inquired what was made with the goodies I 'teased' you with yesterday
Here are the results of my labor.
Earrings made with alcohol ink-colored buttons and beads from SueBeads (I'm hoping to work up a tutorial on the buttons SOON)
A simple necklace with a Vintaj filigree piece and a Tim Holz fragment tag backed with paper from a French book.

So that's it. . .what's on your table today?

Creative Distraction

I've had to put the bead soup away for a little while.
My mind was absolutely consumed with it and I wasn't getting anything else done.

So I've spent the day attempting to be creative while keeping my mind off the soup that is sitting just a few feet away!
I've played with my alcohol inks

And bits of paper

And buttons

And beads (of course)

I even got a few things made.

In addition, these earrings are on sale.
Planets Aligned Earrings

And this necklace was listed.
Take a Chance Necklace

Now back to the grind! ;)

Bead Soup, Meal Plan, Treasuries, and Giveaways (it's packed in tight here)

I've got so much I want to share today, that I'm not sure if I should try to cram it all into this one post or spread it out for several days. Hmmmmm. Let me just start this off and see where it goes.

The bead soup is kicking my butt. Don't get me wrong, I'm absolutely LOVING what Andrea sent me, but I'm having the hardest time deciding how best to highlight the beautiful Golem focal she sent. Do I go minimal so the pendant really is the focal or do I go a little crazy and just have fun with it? I CANNOT decide. I've sketched and sketched ideas.

See!! And that's not even all of them. . .sigh. It's a good thing the reveal is not for a few more weeks. (and yes, I know my sketching sucks. It's the equivalent of stick people. . but I know what I mean) No worries, I don't think I've revealed anything about my design (I kept the one I'm leaning toward out of the pictures!)

Since it is Monday and I labored over my menu, I think it's best that I share it now.

Breakfasts: Cereal/grits, waffles, muffins, eggs w/bacon & toast, strawberry filled oatmeal coconut muffins (probably will be raspberry instead of strawberry)

Lunches: Homemade hot pockets (from freezer), bean burritoes, BBQ beef sandwiches w/tator tots, quesidillas, tuna noodles, soup w/grilled cheese, leftovers


Share your own meal plan or just check out the other Meal Plan Monday goodness over at I'm an Organizing Junkie.

Over the weekend, there was quite a bit of activity in the Bead Soup yahoo group as far as Etsy Treasuries. I've got quite a few to share. First is the one I made:

Then there were a few that featured something I made:

There are quite a few more floating around Etsy. Just search in treasuries for BeadSoup2011 and I'm sure you'll stumble on them!

Before I head out to get dinner made, let me share with you a few great GIVEAWAYS going on right now:

That was too much in one post wasn't it? I'm totally working on my. . .oversharing. . .I promise.

I Heart Macro: Beach Log and Bad Dieter

I completely forgot I had these first two pictures on my camera (and I think they're the coolest anyway)
I just love the bits of seaweed and sand in this shot
The crackled/burned potion is just so cool

They're sections of this driftwood log I spotted on the beach.

For your viewing pleasure (please look away if you are dieting in any way. . .it was shameful enough for me to even eat them. But, they were DELICIOUS!)
Blueberry Breakfast Cake
Homemade Ice Cream
Don't worry, these items were not consumed at the same time!

Head over to Studio Waterstone for more I Heart Macro

Lastly, I want to let you know that a couple of items were added to my SALE section of the shop on Friday. (I might forget before tomorrow.)

I hope you enjoy whatever is left of your weekend!

So Full of FAIL

I want to go ahead and say that I’ve been blogging for a while now, and I consider myself a fairly skilled person when it comes to technology. That kind of arrogance always leads to problems. Case in point: yesterday, I discovered what a huge LOSER I can be sometimes.

See, for a good long while I’ve been wanting to be able to reply to comments via e-mail (rather than clogging up my comments page with responses from moi.) I kept searching the settings in blogger to try to figure out how to do this. (Seriously, I went through all the setting SEVERAL times over the past eight months or so.) Yesterday afternoon I finally broke down and asked another blogger. Within minutes of hitting the send button on that request for help, I figured it out by myself. GAHHHHH!!! All I have to do is just reply to the e-mail alerts that Blogger sends me. You have NO IDEA how big of a fool I feel for simply not getting this. I think I was under the assumption that the e-mail I received about the comments was just an alert and one of those “do not reply to this” e-mails. . . how very wrong I was.

So, unless anyone has an issue with this, I’m no longer going to reply to comments in the comments section. I’ll actually send out a personal e-mail to each of you who leave a comment. The only time I plan on writing a comment to myself is to clear up anything, to answer a question, when there is no e-mail for the commenter, or when some other issue arises. I actually already started with the e-mails yesterday (when I realized how easy it was.) Does anyone foresee any problems with this?? Please let me know!

I just had to fess up as to how big of a goober I can be and why you may see changes in the comments section.**

Now for some eye candy-
Magic Stirs Bracelet  

Before I forget. . .. a GIVEAWAY!
Beading Arts has a review of and is giving away a copy of Margot Potter's new book. Head over there to read the review and enter for a chance to win!

**{Hopefully my failure helps someone else who wants to do the same thing. Yes, I am risking my own embarrassment to help. Of course, I do realize that everyone else probably already knew how to reply to comments via e-mail and I may be just making myself look like a bigger idiot than I feel. Ah well. It is what it is.}

What's with Today, Today?

(First off, can you name the movie that quote comes from?)

I don't know exactly what got into me this morning, but I actually got up and out of bed when my alarm sounded. Unless I have to be somewhere, the alarm is meaningless. It usually tends to be more of an alert system (by the way, morning is here when you decide to finally get your lazy butt out of the bed.)

However, this morning I got right up. Perhaps I'm excited about Bead Table Wednesday or (more accurately) the bead soup that's sitting on my bead table. MAYBE I'm actually starting to behave like a grown-up.

Nah, it must be the bead soup.

After starting breakfast and pouring a cuppa coffee, I headed into the craft room and allowed myself to cut the strings on the strung beads (as Kate suggested.) Of course, I'm still a bit neurotic. So, I only slid a few beads off each of the strings. Let me admit that I HAVE already separated my beads into piles. One pile is with the focal and the other is with the clasp.
Of course, I've still not quite figured out what I'm going to DO with either pile AND I still haven't pulled out any of my own beads. It'll come in time, I'm sure of it.
Bead Table Wednesday

Be sure to visit the Bead Table Wednesday Flickr Group for more BTW fabulousness.

While I'm on the topic of bead soup. . .Andrea revealed some shots of what I sent to her. I'm so happy she likes the lot!

I do have one GIVEAWAY announcement
- Gardanne is having a pretty great bead giveaway on her blog. As well, you should check out the sale she is having in prep for BeadFest - 15% off everything in both of her shops. There are also links on her sales page to a several other beaders who are having sales for the same purpose. AWESOME!!


New Necklace
Float On Necklace

Now, let me go see what this soup can become!

Winding down the 100DayProject

I awoke the other day with many thoughts about the 100 Day project and decided to jot them down here to share with you. Some of the bits I g...